Monday, June 19, 2023

Things Better Left Alone - a Sad Review

 Things Better Left Alone

- Pacesetter Games, 2023 (note this is not the Pacesetter brand owned by Goblinoid Games but an entirely different company owned by Mr. Bill Barsh.)

- Designed for Pacesetter's Adventure RPG rules - I do not have these so I can neither recommend or pan them, except to say that these rules use a THAC0 stat, which is rather strange since the THAC0 method was largely unknown by gamers until years after the Holmes Rules were out of publication when TSR released All That Glitters in September 1984, and it wasn't a widely used mechanic until 2nd edition. (edit: see comment by Paleologos)

Be that as it may, appropriate Homes-esque rulesets that could apply include:

  • BlueHolme
  • Wizards, Warriors & Wyrms
  • Holmes 77  

Alternatively, gamers can use a Holmes rules expansion guide like Meepo's Holmes Companion, or The Holmes Treasury. Since it gets mentioned from time to time in the interwebs, I'll just add that The Grey Book is another ruleset that nominally draws some inspiration from Holmes, but in my opinion it is quite far removed and not really an appropriate choice for a Holmesian game.


As the person who edited the Holmes to Level 14 ruleset back in the day, its a safe bet to guess I'm a big fan of the Dr. J. Eric Holmes "Bluebook" edit of D&D, and as a professional historian and the guy who brought Tonisborg back to life you can imagine my excitement upon learning that Pacesetter Games had teamed with Chris Holmes, son of the good Doctor. to publish Dr. Holmes home dungeon maps with notes for the rooms.

Prior to this we have only three published dungeons from Holmes:

  • The Dungeon of Zenopus sample level in the Bluebook
  • The Dungeon of Arzaz in the Fantasy Role Playing Games book by Holmes in 1981
  • The unkeyed dungeon of the Lizard King, also in Fantasy Role Playing Games

Historically, early dungeon keys were basically mnemonic triggers for DM creativity.  For example, a room might have a note that says "4 Skeletons, 3 hp each, chest with 1000 silver".  

It is the responsibility and the pleasure of a Game Master to play off those notes to create a unique experience for each session they run. 

For those of you who have it, you will know that this is much the situation with the Lost Dungeons of Tonisborg. When we prepared the published book, I took those bare notes from Greg Svenson, cleaned them up, and added only such mechanical information as was needed to ease the burden on the GM - such as rolling up the stats for the magic swords, values of gems, languages spoken and so on.  To this I sometimes added terse descriptions and small notes to aid play such as "The orcs may be working for the balrog in room 3" or "the acolytes in this chapel are preparing for a service" or "What is this werebear doing in here?" and so on.  The goal was always to preserve the historical text while aiding the Game Master with a few sparks of creativity so they can run a true piece of history at their table.

In a discussion on Tenkar's Tavern  HERE Bill Barsh of Pacesetter seemed to express similar views:

TC 17:51 ...I really worked hard to make sure that this has Holmes in as it could possibly be. You know if you want to play D&D like you play D&D back in 1977 this is this is absolutely the adventure for you. ...I think we took it we took this thing extremely seriously. I mean I think one of the reasons we really really wanted to do this too was we wanted to get J. Eric Holmes Legacy out there for people to be able to acquire today.

Here the page breaks off for calculated crystals
No. 1
Ce2ThCo9: relaxed, GGA-PBE.

The calculation puts the total magnetization at 6.70 μB per formula unit. The total DFT energy (no corrections) comes out at -7.13 eV/atom.

It has space group R-3m (No. 166, hexagonal axes), with a = 4.9128 Å, b = 4.9128 Å, c = 25.0084 Å, α = 90.00°, β = 90.00° and γ = 120.00°. Symmetry generates all atoms from Ce at (0.0000, 0.0000, 0.1400), Th at (0.0000, 0.0000, 0.0000), Co at (0.0000, 0.0000, 0.3324), Co at (0.0000, 0.0000, 0.5000) and Co at (0.0020, 0.5010, 0.0809).

***

No. 2
Ac2LaSmS4: relaxed, GGA-PBE.

The calculation puts the raw formation energy at -1576.2 kJ/mol of formula units. The calculation puts the total magnetization at 0.00 μB per formula unit. The total DFT energy (no corrections) comes out at -6.34 eV/atom.

It has space group P2/m (No. 10), with a = 7.262 Å, b = 4.165 Å, c = 7.309 Å, α = 90.00°, β = 109.18° and γ = 90.00°. Symmetry generates all atoms from Ac at (0.000, 0.000, 0.000), Ac at (0.500, 0.500, 0.000), La at (0.000, 0.500, 0.500), Sm at (0.500, 0.000, 0.500), S at (0.250, 0.000, 0.736) and S at (0.261, 0.500, 0.268).

***

No. 3
MnGePSN: relaxed, GGA-PBE.

The calculation puts the raw formation energy at -76.8 kJ/mol of formula units. The calculation puts the total magnetization at 1.01 μB per formula unit. For the energy above the most stable polymorph in this dataset, the calculation gives 0.0000 eV per atom. The total DFT energy (no corrections) comes out at -6.49 eV/atom.

It has space group Cm (No. 8), with a = 10.415 Å, b = 2.773 Å, c = 5.348 Å, α = 90.00°, β = 116.23° and γ = 90.00°. Symmetry generates all atoms from Mn at (0.000, 0.000, 0.000), Ge at (0.417, 0.000, 0.570), P at (0.236, 0.000, 0.071), S at (0.079, 0.500, 0.359) and N at (0.299, 0.500, 0.975).

***

No. 4
Th2PaCo2: relaxed, GGA-PBE.

The calculation puts the total magnetization at 0.00 μB per formula unit. The total DFT energy (no corrections) comes out at -8.05 eV/atom.

It has space group C2/c (No. 15), with a = 10.561 Å, b = 6.141 Å, c = 6.893 Å, α = 90.00°, β = 99.36° and γ = 90.00°. Symmetry generates all atoms from Th at (0.150, 0.105, 0.151), Pa at (0.000, 0.399, 0.750) and Co at (0.149, 0.369, 0.516).

***

No. 5
TlSbPtO6: relaxed, GGA-PBE.

The calculation puts the raw formation energy at -788.6 kJ/mol of formula units. The calculation puts the total magnetization at 0.00 μB per formula unit. The total DFT energy (no corrections) comes out at -5.61 eV/atom.

It has space group P-31c (No. 163), with a = 5.3317 Å, b = 5.3317 Å, c = 9.6281 Å, α = 90.00°, β = 90.00° and γ = 120.00°. Symmetry generates all atoms from Tl at (0.0000, 0.0000, 0.0000), Sb at (0.3333, 0.6667, 0.2500), Pt at (0.3333, 0.6667, 0.7500) and O at (0.0000, 0.3636, 0.1359).

***

No. 6
PmLuHgBi: relaxed, GGA-PBE.

The calculation puts the total magnetization at 0.00 μB per formula unit. The total DFT energy (no corrections) comes out at -3.83 eV/atom.
The calculated crystals stop here


 TC 30:48 ...again this should be more Holmes and less me. Unfortunately there's a lot of me in there just because of what what we were handed, but ...I think the whole team worked really hard to make sure that we kept it as Holmes as we could.

Promising, but that last paragraph does raise a red flag.  Let's take a look at the product and for starters I'll get the potatoes out of the way before dealing with the meat, so to speak.

It is a standard 8.5" x 11" size product and decently thick at 76 pages - currently only available in pdf.

The first 4 pages cover introductory material. Advice is given for tying this adventure to Zenopus dungeon adventure, and the overall situation within the dungeon is discussed with just enough detail to explain the situation without overdoing it.  Overall this is good and useful material. So far so good

Skipping over the dungeon material to page 39,  we have a few very nicely done random monster and treasure tables, and pages 41-52 present a plethora of new monsters and magic items.  A few of these are shown to come directly from Holmes notes, but I'm not going to parse these individually for how "Holmsian" each may or may not be.  As a whole the section seems perfectly useful and good. 

Pages 54 - 60 contain character sheets for potential hirelings. 

Page 61 describes a Pacesetter magic item called the Green Flame that ties to other Pacesetter adventures.

-Pages 63 -75 are maps, including a newly made map in black and white - note a separate blue and white version of this map also comes with the pdf.  First impressions of these redrawn maps are that they are rather plain, and don't appear to have taken much effort. but look serviceable.

 Very fortunately, Holmes original maps are also reproduced in the pdf. Holmes maps are rich with detail and most of the rooms are marked with terse notes to tell you what is in them. 

Since we have these originals, its easy to check them against the redraws to make sure the redrawn maps are accurate and haven't missed anything.  

Here is where the ugly begins.  The new maps don't match the originals.  I don't mean there are one or two differences here or there, I mean the new maps are seriously, drastically, and deliberately fucked up.  These are no longer Holmes dungeon maps.

Yes you can tell without too much difficulty which sheet of the new maps is supposed to align with which of the old, but details are starkly changed.  There are new rooms added and original rooms removed.  Steps are missing, stairs are missing and even the original entry stair is completely relocated for no good reason.  Corridor sizes are randomly resized, aligned differently, lengths changed and choke points and entire passageways have disappeared. On and on and on.

Mind you, the originals are on graph paper and fairly clear, so it is not as if it would have been even slightly difficult to load them into a graphics program - even a free one like Gimp - and simply create a clean and exact copy to proper dimensions on a new layer.  I mean I can do this - have done this sort of thing - and frankly probably will do so with the Holmes maps for my own use, so I can't begin to imagine what excuse there is for an experienced game company with real graphic artists and cartographers on tap for why the new maps aren't faithful copies - especially given that the new maps are so basic.

Unfortunately, bogus maps aren't the end of it.

The Dungeon

Pages 5 through 48 cover the dungeon key.  This was an opportunity for Pacessetter to clean up the notes on the map, add stats as needed, some suggestions where appropriate and a few bits of obvious detail.  Entries could have been writen in a manner that followed Holmes own model, amply demostrated in his Dungeon of Zenopus (Bluebook) and even The Dungeon of Arzaz.

It was also an opportunity for Pacesetter to add historical information and quotes such as bits and pieces from the Maze of Peril book or Holmes Dragon articles where the events described in the stories correspond  with a location in the dungeon, as quite a few actually do.  Further we could have had small anecdotes from Chris Holmes or anyone who may have played in the dungeon. That would have been super cool.

We don't get anything like that.  What we do get, on the very first entry, is read-aloud BOXED TEXT. 

Now look, I'm not a hater of boxed text per se., but it certainly receives a lot of criticism and more to the point, post dated the Holmes era significantly, so again, the choice to use anachronistic boxed text in presenting someone else's historical and posthumous dungeon design instead of following his own style feels very wrong.

Still I might have forgiven the boxed text if it was not followed by, lets call it "invented" material.  Quite frankly, there is paragraph after paragraph of fluff written by Pacessetter.  Each room is embellished with an entire storybook of material that springs from the mind of Bill Barsh, apparently, and not Holmes.  It is completely unnecessary and so overwrites the true Holmes material that you can't run the dungeon authentically.

Here is a small example.  The new map relocates (!) the original entry stair from a corridor into a room designated as 2 on the new map.  On the original map there are 12 savages in this room (why move the stair to dump the characters immediately into a big fight is beyond me, but I digress).  In the room description we are told these savages are in some kind of religious trance staring at a green flame - a tie in both to other Pacesetter products and to an entirely new Mcguffin added to the dungeon.  I'll just note here that this also isn't the last time tie ins to other Pacesetter products completely unrelated to Holmes are found in the dungeon. 

Another example, room 7 is a simple locking door and moving wall trap, per the map notes.  A true-to-Holmes description of this might have been something like:

"Dark stains (from blood) may be observed on the back of this door and the floor immediately beyond it. Unless held, the door will swing shut and lock and the opposite wall begin to move.  Anyone in the corridor will be crushed against the door in 2d4 rounds unless the lock is picked or the door is forced by a combined strength of 18 or greater."

Instead the Pacesetter description adds an elaborate painting, a bowl intended for a blood sacrifice, spear points sticking out and additional falling walls. Come on man.

Each entry is treated this way, as if it is Pacesetter's personal playground to make up whatever nonsense that strikes their fancy.  Further the made up fluff is very 1980's - 1990's BECMI in feel.  It doesn't read at all like Maze of Peril, it reads more like a Mystara module.

It is extremely frustrating as a historian of the game to see this mistreatment of Holmes dungeon. These ahistorical changes in map and text to the work of a key figure in D&D history are baffling and unnecessary and a missed opportunity.  Its a bit like selling "authentic" copies of Michelangelo's David, where the statue is now wearing sneakers, pants and sunglasses - because, you know, that makes it "better".

This was not a happy thing for me to write about. I really really really did not want and do not like to write a negative review, but the subject is too historically important for me not to be honest about the content of this product.  I want at least to acknowledge that I certainly appreciate the fact that Pacesetter made the product available.

Would I recommend the pdf - Yes, absolutely - the reproductions of the original maps alone are worth it and the monster stats etc. make a nice bonus. Hey, the cover art is pretty cool too. You should buy this product if you have any interest in Holmes or Bluebox D&D.


I honestly recommend you DO NOT print out the new maps and you rewrite or gut the key entirely using the notes on the map as your guide and removing all the Bill Barsh fluff.  Unless of course you would rather play in a 1990 style Pacesetter dungeon than a 1976 Holmesian one. 


  1. Thanks for the review - I'm planning to pick up "Things Better Left Alone" but haven't had a chance to, yet.

    It's really great that the original maps are included - I don't think I'd mind the changes, if I'm going for a BECMI feel. Would be nice to see a Blueholme version, actually.

    One thing - I believe that THAC0 might have made it's first published appearance in RPGA1 Rahasia (1983) which predates "All That Glitters" by about 18 months

  2. Well that's disappointing, unfortunately I ordered the print copy because I thought it would at least try to be faithful to the original. I rarely buy modules because I don't need someone else to do my imagining for me. I wanted this specifically for the historical value and not for a "fun" adventurer.

  3. I feel that anything that Pacesetter puts out should be thoroughly examined and questioned. The B/X Remastered product fiasco was one of the worst products I ever backed. After several extensive emails detailing major errors, the last PDF still was riddled with errors. Wonder if their 2nd edition version of the rules fixes all the issues of the 1st?

  4. So got my physical copy in the mail today. Was excited despite what I read here, but was seriously disappointed. I was hoping for some designer commentary about how this adventure came to be, a forward or something at least. No explanation, just straight to the adventure. And The maps are really a lot worse than I expected, practically unrecognizable from the originals. Also they have zoomed our maps which you can barely even see the grid, that's just an editing issue. I have had a chance to read through the content yet, but my gawd it looks wordy. I detest adventures written as novels, one of the main reasons most stuff written for 5e has no appeal to me. The worst culprit is the layout. The major chapters in the table if contents have the same font size as the subheadings, reminds me of the 1e dmg, and not in a good way. I understand the desire for a certain amateur/ old school aesthetic, heck I'm writing my own rules to look like they were written on a typewriter, but that doesn't mean we have to abandon basic layout principles; and I'm no graphic design artist, this is just my gut feeling from reading a shit tin of books. So yeah I will definitely not be using the module as is, probably take the Map and notes and maybe use some bits from the module that are interesting to fleshout my own porttown dungeon
